What Businesses are Selling?

Below you will find the current “hot†business list courtesy of data from BusinessesForSale.com. We asked Businesses For Sale for a monthly ranking of business types based on the number of “hits†on their site. This ranking is not based on the actual sale of businesses.

Top Ten Businesses for April 2014:

  1. E-Commerce
  2. Advertising
  3. Websites
  4. Convenience Stores
  5. Restaurants
  6. Bars
  7. Internet
  8. Auto Repair, Service & Parts
  9. Retail
  10. Gas/Petrol Service Stations

Top Ten M&A Businesses for April 2014:

  1. Distribution
  2. Manufacturing
  3. Car Wash & Valet
  4. Fabrication
  5. Gas/Petrol Service Stations
  6. Mining
  7. Wholesale
  8. Road Haulage & Freight Services
  9. Food & Drink Distributors
  10. Food & Drink Wholesalers

Are You Prepared to Sell Your Business

Be Prepared to Sell Your Business


Like the firemen who back the truck in order to be ready, you, as a business owner, need to be prepared when you get the call from someone who solicits to buy your business.  According to the latest Sellability Tracker report, the proportion of business owners who received an offer to buy their company in the quarter ending March 31, 2014 was up considerably from Q4 2013. Roughly 12% of business owners using The Sellability Score last quarter had recently received an offer to buy their business.

Companies are being  acquired more  because buyers have access to more cash than they know what to do with and interest rates are still very low.

This increase in activity among buyers has important implications for you as a business owner.  Chief among them is that you need to have a sellable asset when opportunity strikes.

Statistically speaking, the two most common reasons you are likely to sell your business are:

  1. A health scare; or retirement
  2. An unsolicited offer to buy your business.

As unsolicited offers increase, so too does the need for you to be ready if an opportunity comes your way. Unlike when the owner is in control of when he/she decides to list a property, the hallmark of an unsolicited offer is the fact that the owner doesn’t’ know when it is going happen; which means you need to operate your business as if an offer were always around the corner.

Companies that are sloppily put together with shoddy bookkeeping or too much customer concentration, or that are run by a Hub & Spoke manager, will end up being passed over for turnkey operations.

The time is now for you to get your company ready to showcase when opportunity comes knocking.




What are the “hot” businesses for sale in Orange County

I am often asked what business are selling in Orange County and across the country.   Buyers looking for a business or sellers wanting to sell the business, all want to know what is really going on out in the real world.  Here is what the latest;

Below you will find the current “hot†business list courtesy of data from Businesses For Sale. We asked Businesses For Sale for a monthly ranking of business types based on the number of “hits†on their site. This ranking is not based on the actual sale of businesses.

Top Businesses for Sale in March 2014:

  1. Café Bars
  2. Bars
  3. E-Commerce
  4. Convenience Stores
  5. Restaurants
  6. Nightclubs
  7. Sandwich Shops & Delivery
  8. Home & Garden
  9. Liquor Stores/Off Licences/Wine Merchants
  10. Pizza Delivery

Top Ten M&A Businesses for Sale March 2014:

  1. Distribution
  2. Manufacturing
  3. Wholesale
  4. Car Wash & Valet
  5. Fabrication
  6. Road Haulage & Freight Services
  7. Auto Repair, Service & Parts
  8. Gas/Petrol Service Stations
  9. Mining
  10. Construction


Strategic Ways to Sell your Business In Orange County

Did you see the news that Facebook  acquired Internet messaging service WhatsApp for $19 billion? It is the largest-ever acquisition of an Internet company in history.

WhatsApp is a true find for sure. The messaging service allows users to avoid text-messaging charges by moving texts across the Internet instead of the mobile phone carrier networks. This can save people who travel, or who live in emerging markets, hundreds of dollars a year, which is why WhatsApp is adding one million new users per day.

At the time of the acquisition in February 2014, WhatsApp had acquired some 450 million users. Their business model is to charge a subscription of $1 per year after their first full year of service. Even if all 450 million WhatsApp users were already paying, that is still less than half a billion in revenue. Why would Facebook acquire WhatsApp for a number that is somewhere north of 40 times revenue?

Nobody know for sure what is in Mark Zuckerberg’s head, but we can only assume that at least part of the opportunity Facebook sees is the opportunity to sell more Facebook ads because of the information they glean from WhatsApp users. Global advertising giant Publicis estimates 2013 online advertising spending in the US alone to be around $500 billion.   A strategic acquisition.

And therein lies the definition of a strategic acquisition. Most acquisitions run a predictable pattern of industry norms, but a strategic can pay a significant premium for your business because they are looking at your business for what it is worth in their hands. Rather than forecasting out your future profits and estimating what that cash is worth in today’s dollars, a strategic is calculating the economic benefit of grafting your business onto theirs.

There can be many other strategic reasons why a bigger company might want to buy yours. Here are a few to consider:

1. To control their supply chain

In 2011, Starbucks announced it had acquired Evolution Fresh, one of their providers of juice drinks, for $30 million. Now Starbucks is no longer beholden to one of its suppliers.

2. Increase sales by having the existing sales people sales new products

Also in 2011, AOL announced the acquisition of The Huffington Post for $315 million, even though HuffPost had just turned its first modest profit on paper. AOL wanted to give its advertising sales people more inventory to sell and HuffPo had 26 million unique visitors a month.

3. To make their cash cow product look better

Microsoft bought Skype for $8.5 billion dollars even though Skype was losing money. The good folks in Redmond must have assumed they could sell more Windows, Office and Xbox by integrating Skype into everything they already sell.

4. To enter a new geographic market

Herman Miller paid $50 million to acquire China’s POSH Office Systems in order to get a beachhead into the world’s fastest growing market for office furniture.

5. To get their employees

Facebook reportedly acquired Internet start-up Hot Potato for $10 million, largely to get hold of the talented developers working at the company.

Most acquisitions are done for rational reasons where an acquirer agrees to pay today for the rights to your future stream of cash. You may, however, be able to get a significant premium for your company if you can figure out how much it is worth in someone else’s hands.

Curious to see what your business is worth and how you might improve its value to both strategic and financial acquirers?  Complete the Sellability Score questionnaire today and we’ll send you a 27-page custom report complete with your score on the eight key drivers of Sellability. Take the test now: https://empireoc.com/sellability-score

What Are The Top Businesses for Sale In Orange County and Across the US

Often I am asked what are the types of businesses that sell or is my business a business which can be sold.  To answer the first question, here are the top current top ten in both Main Street and M&A.


Top Ten Businesses for February 2014:

  1. Printing & Typesetting Services
  2. E-Commerce
  3. Convenience Stores
  4. Restaurants
  5. Websites
  6. Services
  7. Wholesale
  8. Telephone Services
  9. Bars
  10. Auto Repair, Service & Parts

Top Ten M&A Businesses for February 2014:

  1. Distribution Businesses
  2. Wholesale Businesses
  3. Manufacturing Businesses
  4. Fabrication Businesses
  5. Mining Businesses
  6. Car Wash & Valet
  7. Food & Drink Distributors
  8. Food & Drink Wholesalers
  9. Construction Businesses
  10. Road Haulage & Freight Services

Valuations for Business Sold for Under $1,000,000

A recent report from Business Valuation Resources of the 4Q 2013 Pratt’s Stats Private Deal Update reports the following pricing/valuation multiples of EBITDA used on sales made by business brokers, of businesses that sold for under $1,000,000:

2013 = 2.40
2012 = 2.36
2011 = 2.50
2010 = 2.34
2009 = 2.35
2008 = 2.58
2007 = 3.73
2006 = 4.15
2005 = 4.05

As you can see the changes in the multiples of EBITDA have had impact on the expectations of sellers.  Sellers I have run across often don’t like the current multiples/pricing and think their business is worth more than the market will bring.  The  challenge is because many business owners expect to receive multiples of EBITDA that simply are not happening, like they were pre-recession.


Do You Want Your Business to Be More Valuable This Year?

For many, the first of the year is a time of rebirth and resolutions. It is a time to reflect on last year’s achievements and to set goals for the year ahead.

Some people will set personal goals but most company owners will set business goals, usually focused on hitting certain revenue or profit projections. But if your goal is to own a more valuable business in 2014, you may want to consider these goals:

* Take a two-week vacation without checking in with the office. When you return, you’ll see how well your company performed and where you need to make a key hire or create a new system.

* Write down at least one process per month. You need to document your systems by putting it down in writing for others to follow. Resolve to document one system a month and by the end of the year you’ll own a more sellable company.

* Offload at least one customer relationship. If you’re like most business owners, you’re still your company’s best salesperson, but this can be a liability in the eyes of an acquirer, which is why you should wean your customers off relying on you as their point person. By the time you sell, none of your key customers should think of you as their relationship manager.

* Cultivate a new relationship with a new supplier. Having a “go to†group of suppliers is great, but an over-reliance on one or two suppliers can create a liability for your business. By spreading some of your business to other suppliers, you keep your best suppliers hungry and you can make a case to an acquirer that you have other sources of supply for your critical inputs.

* Create a recurring revenue stream. Valuable companies can look into the future and see where their revenue is going to come from. Recurring revenue models can vary from charging customers a small amount for a special level of service to offering a warranty or service contract.

* Find your lease as well as any other key contracts. When it comes time to sell your company, a buyer will want to see your lease and understand your obligations to your landlord.   Make sure the lease can be assigned.

* Check your contracts and make sure they would survive the change of ownership of your company. If not, talk to your lawyer about adding a line to your agreements that states the obligations of the contract “surviving†in the event of a change of ownership of your company.

* Start tracking your Net Promoter Score (NPS). The NPS methodology is the best predictor that your customers will re-purchase from you and/or refer you, which are two key indicators of a healthy and successful company. It’s also why many strategic acquirers and private equity companies use NPS as a way to measure the health of their acquisition targets during due diligence.

* Get your Sellability Score. All goals start with a benchmark of where you’re at today, and by understanding your company’s Sellability Score, you can pinpoint how you’re doing now and which areas of your business are dragging down your company’s value.  Visit our website at www.empireoc.com to take the Sellability survey.

A lot of company owners will set next year’s goals around their revenue or profits, but those goals are blunt instruments. Instead of just building a bigger company, also consider making this the year you build a more valuable one.

How To Increase the Value Of My Business

How valuable your business is to a prospective buyer is the extent to which the buyer can see where your sales will come from in the future.  A recurring revenue stream means the buyer might not have to inject cash into the business going forward and therefore will pay more for it.   Recurring revenue streams therefore increases the value of your business.  There are various forms of recurring revenue.

1.  Contracts (think wireless phones)

2.  Automatic renewal subscriptions (think websites which charge a monthly fee automatically charged at the first of the month)

3.  Sunk-money renewal subscriptions (think equipment lease and then subscribe to information to monetize the leased equipment)

4.  Renewable Subscriptions (think magazine subscriptions)

5.  Consumables (think razor blades)

This is the time of the year to plan for the future.  If you can incorporate a recurring revenue stream into your business you can increase its value.



If I Sell My Business, How Much Is It Worth?

This is one of the first questions I get asked from a prospective seller.  It should also be the first consideration a prospective seller considers before he decides to sell.  How do you make a decision to sell unless you know what the business could possibly bring when it is on the market.   Unlike some other intermediaries, our company, Empire Business Solutions, offers a free Broker Opinion of Value so a prospective buyer can get an idea of the possible worth of his business.  Of course, the Broker Opinion of Value does not guarantee the seller will get that price but at least he has an idea of what it might possibly sell for.  Only the open market will determine the actual value of the of the business.

What to Expect in Selling Your Business

For many Owners and CEOs, selling their company is a once in a lifetime experience.  They may be very experienced but they can also be blind sided by surprises when selling their company.

#1: Substantial Time Commitment

In the real estate business, once the seller engages the broker there is very little for the owner to do until the agent presents the various offers from the potential buyers.  In the M&A business, there is a substantial time commitment required of the CEO/Owner in order to complete the sale properly.   The following examples are worth noting:

Offering Memorandum:

This 30 + page document is the cornerstone of the selling process because most business intermediaries expect the potential acquirers to submit their initial price range based on the information presented in this memorandum.  The intermediary will heavily depend on the CEO/Owner to supply him or her with all the necessary facts.

#2: The Need to Inform Other Employees in the Process

A number of owners selling their company are paranoid about a confidentiality leak regarding the sale of their company.  In fact, some owners prefer that no other person in the organization is aware of the pending sale of the company.  At a bare minimum, the CFO and Sales Manager should be informed.  The CFO will be asked to pull all the financials together, to supply projections, to articulate reconstructed earnings (add-backs) and to supply monthly statements…all of which suggest that the company is being sold.  The Sales Manager will be asked to supply the names of synergistic companies in or around the particular industry.  And, perhaps, the CEO’s secretary will be asked to set up a “war room†where all legal and contractual information is assembled for the buyer’s due diligence team.  In order to protect the company from confidentiality leaks and assure retention of key employees, the CEO/Owner should implement “stay agreements†for these key employees.

#3: The Need to Maintain, or Accelerate, Sales

The tendency for some owners is to become so distracted with the M&A process that they take their “eye off the ball†in running the business on a daily basis.  Potential acquirers will be watching the monthly sales reports like a hawk to see if there is a turn-down in business.  Acquirers become very apprehensive when they see a recent downward trend in the company they are about to acquire and may, as a result, want to negotiate a lower price.

#4: A Confidentiality Leak

[What comes next are data records, not part of the page]
........
This entry pairs a crystal structure of Re2SeS3 with its theoretical powder diffractogram. Radiation: Cu Kα X-rays. Structure: a structure optimized by DFT (GGA-PBE).
No peak broadening, texture or thermal motion is included.

Atomic structure:
Cell: 6.4438 6.5323 6.8041 Å, 91.75 104.52 118.88°
Sites, in units of the cell vectors:
Re: 0.0129 0.2152 0.0023
Re: 0.4429 0.1895 0.0088
Re: 0.5571 0.8105 0.9912
Re: 0.9871 0.7848 0.9977
Se: 0.2535 0.1202 0.2952
Se: 0.7465 0.8798 0.7048
S: 0.2275 0.8447 0.7601
S: 0.2499 0.6337 0.1817
S: 0.2783 0.3917 0.7941
S: 0.7217 0.6083 0.2059
S: 0.7501 0.3663 0.8183
S: 0.7725 0.1553 0.2399

Top 10 peaks for 15 to 90 degrees two-theta, by angle:
15.75°, rel. 31, hkl 0 1 0; 27.53°, rel. 21, hkl 0 0 2; 31.80°, rel. 29, hkl 0 2 0; 31.94°, rel. 30, hkl 2 0 -1; 32.35°, rel. 38, hkl 2 -2 0; 36.38°, rel. 47, hkl 2 0 -2; 37.03°, rel. 100, hkl 2 -2 1; 39.85°, rel. 20, hkl -2 2 2; 41.82°, rel. 21, hkl 0 0 3; 49.89°, rel. 19, hkl -2 2 3
........

Naturally, most CEOs expect the M&A process to go smoothly and usually it does.  However, there should be a contingency plan in place for such occurrences as confidentiality leaks.  The degree of damage determines what action should be implemented.   Much more serious confidentiality leaks can occur, and it is wise to discuss ahead of time how the matter is going to be handled with those concerned.

#5:  Low Bids

Ultimately, the M&A market sets the price of the company. However, rarely does a seller go to market without having certain expectations of price.  Let’s use a hypothetical case in which a company is growing at 15% annually.  The CEO/Owner believes that it is worth $6 million based on $1 million of EBITDA.  However, the top bid is $5 million cash or, obviously, 5 times EBITDA.  Assuming the business intermediary has exhausted the universe of acquirers, the seller has two choices to reach his desired $6 million selling price.  Either he can take the company off the market and return several years later when either the company’s earnings have improved or when the M&A market has heated up.  Alternatively, the CEO can negotiate further with the top bidder by selling 80% of the company now and the remaining 20% in three years on a pre-arranged formula on the expectation that business will improve.  Or, the CEO can sell the company now for $5 million with an earnout formula that might give him the additional $1 million.

#6: The P&S Agreement is Not What the CEO Expected

Numerous CEOs drive the M&A process to the letter of intent and then turn over the deal to their attorney to iron out the details of the purchase and sale agreement.  While the CEO should not micro-manage his designated professional advisers in the transaction, he should be involved throughout the process, or otherwise the CEO will invariably object to the final wording of the document at the signing state.  The area most likely to be overlooked by the CEO/Owner is the critical section of reps and warranties.

#7: Agreement of Other Stakeholders

While the CEO can negotiate the entire transaction, the sale is not authorized until certain stakeholders agree in writing, namely, the majority of the shareholders, financial institutions which have a lien on certain assets.